Kavitha Kuruganti, 46, set out to be a development communicator and went on to become one of India’s foremost champions of sustainable agriculture. While still studying for a Masters degree in communications at Hyderabad Central University, she was drawn into the world of NGOs, particularly the Deccan Development Society. Kuruganti is now the national convener of the Alliance for Sustainable and Holistic Agriculture (ASHA), a network of farmer groups that promote both ecological and financial sustainability.
Firstpost spoke to Kuruganti, who has acquired an in-depth technical knowledge of the agricultural sector over the years and has spearheaded the campaign against genetically modified (GM) crops. She has served as a member of the Government of India’s High-Level Committee on the Status of Women in India and as a member of a government panel set up in 2013 to examine the methodological issues in fixing a minimum support price (MSP) in agriculture. Edited excerpts follow:
What feelings does Swaraj evoke for you 2017?
That it doesn’t exist… that it has been taken away more or less completely.
Can you enumerate the reasons behind that feeling?
Resource grabbing in rural India comes to mind, where you have no control over resources today. Land acquisition has always been there but there are numerous other ways in which resources are going away now. This includes seemingly attractive land purchase deals by outsiders who come into villages. It takes away the ability to determine what will happen to your life.
Is that because people’s lives change when they move from living off the land to dealing with a large amount of cash?
We are not necessarily talking about whether the cash is large in quantity or reasonable or not or whether it will last for long. Lack of opportunities after that for sustainable livelihoods is what I’m referring to. There are no opportunities in rural areas when these resources are taken away. It could well be that what (cash) you get is spent immediately on building a house or marrying off a family member.
Resource grabbing applies to not just large assets like land but also things like seeds – farmers have been lured away from any physical stocking of seeds that they have. In the past 15-20 years of my work, I have seen this happening at a more rapid pace because corporations have discovered this wonderful strategy of tying up with agricultural departments for supplying seeds to departments and not selling or marketing seeds to farmers in villages.
Departments then give away seeds free of cost for two or three years to farmers and when you start getting seeds like that, you stop storing them. And once that happens, you lose stocks of seeds and the dependence on external sources becomes a perpetual dependence after that. Even in people’s movements, when they talk about (people’s control over) ‘jal-jungle-zameen’’ (water, forests, land) they don’t necessarily bring seeds into the picture.
What then is the larger reason for the farmer crisis?
A substantial part of the crisis can be connected to seeds as they are no longer a singular input in farming. Today, when you bring a hybrid seed, it’s an entire package of practices that you are bringing along – which you are forced to use, that necessarily involves a certain cost and requires a certain debt. But the crisis is also at the output end – whether farmers are able to get remunerative markets, what’s happening in trade deals, procurement policies and so on.
Are you referring to global trade deals?
Yes, international free-trade agreements. We’ve reached a stage where we are not talking just about the autonomy of individual farmers or farming communities but of governments foolishly making themselves extremely vulnerable to litigation due to trade agreements.
What comes next are records of molecules, not part of the entry:
+++
Entry 1:
Below is a 3-piece molecular cluster, C5H16O3 overall at a distorted geometry, with properties calculated with wB97M-V/def2-TZVPD.

```
24
Properties=species:S:1:pos:R:3
C 0.3618 -0.1505 -2.4832
O -0.7404 0.5930 -2.9711
C 0.9972 0.5961 -1.3614
C 0.4948 0.2225 0.1206
C 0.6675 1.3359 1.1361
C 1.3726 -0.9435 0.4526
H 1.0651 -0.2192 -3.3315
H -0.0842 -1.1759 -2.3633
H -1.1140 1.1180 -2.2425
H 0.8329 1.7307 -1.3767
H 2.1310 0.5108 -1.5562
H -0.5722 0.0713 -0.0656
H 0.5317 2.2895 0.6139
H -0.0494 1.2672 1.9630
H 1.6064 1.2407 1.7591
H 2.3742 -0.6321 0.5872
H 1.3468 -1.7166 -0.3321
H 1.1964 -1.2735 1.5681
H -2.4900 -1.2417 1.0622
H -1.0515 -1.5535 0.5379
O -2.0181 -1.6873 0.3400
H -2.1624 -0.9061 2.7533
H -2.1876 0.5896 2.9127
O -2.5088 -0.0652 2.2768
```

Summary:
SMILES string = CC(C)CCO.O.O
Frontier orbital gap = 10.14 eV
Energy above the lowest of the compared OMol25 structures with the same formula, charge and spin = 39.6 kcal/mol

---

Entry 2:
Below is a 3-piece molecular cluster, C5H17N2O3 overall at a distorted geometry, with properties calculated with wB97M-V/def2-TZVPD.

```
27
Properties=species:S:1:pos:R:3
C -2.4067 -0.9540 -0.1314
C -1.1172 -0.1431 -0.0834
C -0.8399 0.7609 -1.3008
C -0.1059 0.0745 -2.4572
N 1.2624 -0.3682 -2.1828
N -1.0069 0.5750 1.1833
C 0.2484 0.4524 1.9691
O 1.3419 0.1255 1.2573
H -2.7820 -1.1672 0.8657
H -2.3360 -1.8649 -0.7327
H -3.2252 -0.4632 -0.6847
H -0.3255 -0.8953 -0.0517
H -1.7967 1.1533 -1.6592
H -0.2365 1.6073 -0.9781
H -0.0974 0.6711 -3.3702
H -0.7155 -0.8056 -2.7247
H 1.8932 0.4206 -2.0553
H 1.2080 -0.8211 -1.2779
H -1.8400 1.0586 1.4747
H 0.0781 -0.3124 2.7647
H 0.3935 1.4050 2.5345
H 1.6477 -1.5633 1.6150
H 1.5743 -2.3142 2.9014
O 1.9681 -2.4182 2.0446
H 2.2506 1.1302 0.6798
H 2.2017 2.7236 0.2072
O 2.7636 1.9325 0.1928
```

Summary:
Net charge = -1
Frontier orbital gap = 7.54 eV
Energy above the lowest of the compared OMol25 structures with the same formula, charge and spin = 3.4 kcal/mol

---

Entry 3:
Below is an isolated ion of composition C5H17N2Si and charge +1 at a distorted geometry, with properties calculated with wB97M-V/def2-TZVPD.

```
25
Properties=species:S:1:pos:R:3
C -0.9779 -2.3876 -0.0722
C -1.7996 1.5054 0.0080
C 1.1268 2.2217 1.0589
C -0.1940 -1.5301 -1.1141
C 0.7639 -0.5917 -0.4962
N -0.4289 -0.0086 2.3068
N 1.7037 -0.1431 -1.5297
Si -0.2158 0.9266 0.9228
H -1.4614 -3.1786 -0.5727
H -1.6409 -1.7818 0.3541
H -0.4482 -2.6973 0.7950
H -2.4796 2.0957 0.6028
H -1.4159 2.2098 -0.7188
H -2.3227 0.7078 -0.4770
H 1.8906 1.5956 1.5492
H 1.4612 2.5874 0.0869
H 0.9217 3.0323 1.6643
H 0.5104 -2.1194 -1.7780
H -1.0444 -1.3142 -1.8322
H 1.3430 -1.0701 0.1969
H 0.4407 -0.0548 2.7615
H -1.0608 -0.7265 2.5451
H 2.2908 0.5834 -1.1292
H 2.3408 -0.8396 -1.7155
H 1.2338 0.3943 -2.3669
```

Summary:
SMILES string = CC[C@@H]([NH3+])[Si](C)(C)N
Net charge = +1
Frontier orbital gap = 9.37 eV
+++
Consider RECP (Regional Economic Comprehensive Partnership), that involves 50 other countries. It’s a mega trade deal where the government is signing away its own ability and authority to adjudicate on matters. If there is any conflict on the agreement it is not supposed to be resolved as per our national laws and our sovereign policies. You (the nation) are signing away your power to bring the investor to obey your own laws.
You are saying it’s okay, let’s go to an international tribunal which is filled with their corporate lawyers and whoever has greater money will win the case there. So, we should be talking not just about saving people but saving governments and our own government which is needed for our democracy to be functional.
Are you saying that it is basically Indian sovereignty that is at stake here?
Certainly, and if you are talking about Swaraj then we’ll have to cover all these aspects. It’s not just about one individual woman farmer, whether she has swaraj or not, or an Adivasi farmer somewhere, but about nations themselves. Also, did it mean anything that the Indian Constitution said that state governments will have the ultimate authority on agricultural decision-making?
It’s not seen in implementation at all. The Centre decides every wrong policy and states are forced to bear the consequences of what happens later on. So, we are talking about autonomy being taken away at every level by very large corporate forces and the lack of wisdom in (central) governments when they signed this (autonomy) away willingly.
One reason for this has been the argument that India cannot afford to be left out of the global market place. And if the price of participation in that market place is to be party to these various international trade deals, then so be it…
But that is a poor justification for what you do to the majority of your citizens. Very often in these trade deals, for getting a little more space for sectors that are non-primary, like the IT sector and other services sector, we are trading away many things that become matters of life and death for a large majority of people. For little more profit or little more margin for one sector, you can’t violate the right to life of a large number of people. That is unacceptable.
You have been part of the movement to resist these trends for over 24 years. Could you say, to what extent, mobilisation has been able to make a difference? Or is the mobilisation in favour of the farmer losing out?
No, I would not say that everything is negative. I do think there have been huge gains made in terms of ecological agriculture as a way to Swaraj and self-reliance. Today, government research agencies are producing a lot of material to prove that organic farming does yield higher returns, we have large flagship programs of governments that are investing Rs 500 to 600 crore on an annual basis, all promoting ecological agriculture. The government actually accepts things like a PGS (participatory guarantee system).
I’m not talking about just understanding around technologies and post-modern science. I’m talking about even institutional approaches changing from being highly top-down to those approaches which appreciate that farmers have something to contribute to fellow farmers in terms of knowledge, skills, confidence building and so on.
For example, in programs like Mahila Kisan Sashaktikaran Pariyojna, women farmers get autonomy from not being dependent on spouses, who have higher power when it comes to market-based transactions. (Instead) when you have commons based transactions, women immediately regain spaces and autonomy in decision making at the household level. So, I go down to that (individual) unit level, not family level.
Ecological agriculture and movements like the Bharat Beej Swaraj Manch are part of a network in India today of something like 350 seed saving and seed breeding farmers. They are breeders creating new popular varieties and these are also some farmers who are conserving 200 different varieties of crops. Bharat Beej Swaraj Manch, which got created about five years ago, spreads a traditional variety of seeds and revival of physical stock of seeds back with individual households as well as entire communities.
One sees in certain pockets of Odisha, with Kondhs trying to resist mono culture from the forest department. They are trying to banish hybrid seeds and chemical agriculture from their farming. I do think these are all ways of re-possessing autonomy over own lives, livelihoods, future, and resources.
So, these are essentially struggles for Swaraj?
They are and they are doing well at their own level. The one big problem as to why these efforts will not be enough is that with one stroke of a pen, they (government) could take away that very forest, that very land that (people) have restored and revived and that is where the fear of these changes not being sustainable emerges from.
Are they threatened by the vagaries of the governance system?
True. The fact that you could gain autonomy by cutting yourself off from the main stream market, is being dependant on others in a different way. If urban consumers and rural farmers can tie-up directly there is a certain dependence there also but it’s not exploitative. The Belgaum organic food club does it. There is a CSA (community supported agriculture) model that has emerged in Bangalore – one self-help group of farmers is supplying to hundred consumer households in Bangalore.
But all these little initiatives can vanish in no time at all if the government decides to take away the basic productive resources. And that’s one area where autonomy is not in sight. You may regain things at the grassroots level but if larger legal or policy weapon is unleashed on you then everything gets wiped out.
Can we take hope from the example of Sikkim, where the entire state has gone organic?
Yes, anywhere where people are cutting themselves off from the corporate controlled input market and are able to find sympathetic markets, markets where consumers are explicitly saying ‘I am for you, I realise that I have a greater advantage than you (the farmer) for various reasons, and I will support you in my own interest as well as because I think you will stand a better chance’.
There is a new concept of printing the break-up of what the consumer is paying in some places for instance. There is a chain of outlets in Bangalore which, on every product, give a break-up of the MRP – saying how much is going to the farmer, how much was spent on transportation and how much on themselves.
How can we cultivate these kinds of creative endeavours, which are enhancing people’s sense of agency at the ground?
We need more people who have particular skills and capabilities and outreach in urban India to get back to supporting small communities. One finds that in Tamil Nadu, there’s been a large movement because G Nammalvar (organic farming expert) inspired lots of educated youth to chuck their jobs and come back to villages. Even if you don’t take up hands on farming, you are there to support a group of farmers. We are talking about a thousand young people who are well networked.
You need an inspiring leader, you need youth to network with each other to egg each other on in a positive sense. It also requires an entire curriculum to be built around encouraging youngsters to go and do these kinds of work in rural India. (Such as) Bhoomi is drawing people from different sectors, including students.
But at the same time, it is widely reported that most young people, under 25, who are currently on farms are not interested in agriculture and for them, Swaraj could well mean an escape from the land to an urban setting. Are these reports valid?
They are. The larger picture is like that. But I’m saying not everything is lost. There is a movement that has begun to regain those spaces and if we don’t act fast, it is true that for a large majority Swaraj will appear to be in running away from the village.
You have also been involved in knowledge Swaraj activism for many decades. Could you say what is knowledge Swaraj and what does it mean today?
For me, it means that corporate science doesn’t hijack research agendas and bring in products and technologies into the market which essentially benefit a few but cause larger harm in terms of both economic resources being taken away as well as environmental harm. To that extent, a large part of what I imagine as knowledge Swaraj is a push back against corporate science and corporate technology.
The piece is interrupted by calculated molecules >
********
1.
This record from the Open Molecules 2025 dataset describes 4 unconnected molecules or ions with the total composition C25H52ClFO11P in a non-equilibrium geometry. The level of theory is wB97M-V/def2-TZVPD.

The geometry in XYZ format:
```
91
Properties=species:S:1:pos:R:3
H -3.889 1.764 7.076
C 8.867 1.520 -4.115
H -5.086 0.808 7.969
H -6.907 -0.754 6.206
H 3.863 -1.815 -4.459
C -4.397 0.484 4.841
O -1.729 1.513 -3.381
C -4.380 0.795 7.142
C 4.330 -0.192 -2.066
H 4.796 1.794 -2.652
H 0.322 -1.131 -1.453
H -5.322 -0.057 1.804
O 10.097 1.097 -3.813
H 4.442 0.100 0.687
O -10.417 0.240 7.415
H -3.645 0.010 7.312
Cl -3.227 0.224 -0.117
H 5.413 1.302 1.546
C 3.247 -3.007 -2.759
C 10.225 0.592 -2.483
H 3.392 1.710 -1.619
H 2.572 -2.049 -0.882
O -8.800 -1.219 8.019
H -1.769 -2.015 0.149
H 7.282 3.292 -5.221
C 3.091 -1.783 -3.685
H 4.197 -0.809 -1.178
C 0.112 -2.069 -0.942
P -3.474 1.511 -3.629
C 7.609 2.448 -5.825
H -7.520 -0.785 4.557
O 8.876 1.964 -5.372
H 6.338 1.923 -0.916
H -3.239 -2.132 -1.878
H -3.331 2.777 -4.332
H -7.930 -2.109 5.659
H -3.645 2.292 -2.408
H -0.429 0.316 -2.560
H 0.683 -3.043 -2.799
H 2.728 -3.786 -0.845
H 4.951 2.659 -0.182
H -4.895 1.434 -3.859
H -4.074 1.096 2.295
H 9.575 -0.269 -2.335
C 5.326 1.704 -0.571
H 11.260 0.283 -2.364
C -1.351 0.813 -2.226
H 0.563 -1.974 0.052
H 7.748 2.776 -6.851
C -1.395 -2.341 -0.824
H 9.996 1.366 -1.753
O 7.917 1.504 -3.380
H 2.887 -3.877 -3.323
C 2.405 -2.947 -1.476
C 4.405 1.316 -1.746
O -3.573 0.049 -2.634
H -0.271 0.960 0.740
H -11.833 0.765 8.765
H 6.863 1.656 -5.801
H 0.536 -4.120 -1.346
H -3.824 -0.655 2.530
H -10.238 0.453 9.474
O -5.208 0.232 3.820
H 2.189 -0.207 -2.422
H -11.261 -0.906 8.928
C 0.885 -3.161 -1.732
O -3.208 0.643 4.787
C -9.322 -0.500 7.207
H -3.206 0.713 -4.813
C 5.334 0.719 0.624
C -2.499 -0.164 -1.782
C -7.745 -1.037 5.588
F -0.335 2.936 -1.838
C -2.250 -1.673 -1.925
H 4.291 -3.232 -2.520
C -10.958 0.121 8.728
H 2.129 -1.886 -4.201
C 3.102 -0.423 -2.979
C -0.918 1.864 -1.157
H -1.767 2.286 -0.620
H 6.235 0.104 0.569
O -8.920 -0.300 5.958
C -4.552 0.151 2.539
H 0.806 0.640 -0.635
H -1.848 -1.891 -2.917
H 0.795 2.235 0.064
O -5.137 0.531 5.961
H -1.543 -3.425 -0.896
C 0.151 1.384 -0.172
H 3.178 0.340 -3.764
H 5.258 -0.467 -2.577
```

The total charge is -1. For the HOMO-LUMO gap, the calculation gives 0.2305 Ha. The spin multiplicity is 1.

These are the Löwdin partial charges, in e, on atoms 1 to 2: number 1, H, carries 0.097; number 2, C, carries -0.622



2.
This record from the Open Molecules 2025 dataset describes a gas-phase ion, C2H4NO2 (charge +1) in a non-equilibrium geometry. The level of theory is wB97M-V/def2-TZVPD.

The geometry in XYZ format:
```
9
Properties=species:S:1:pos:R:3
H 1.403 1.886 0.114
N 2.275 -0.047 0.258
C 1.203 0.778 -0.074
H -0.848 0.779 -0.156
O 2.867 -0.614 1.078
O 2.198 0.162 -0.996
H -0.086 -0.472 -1.260
H -0.065 -0.743 0.347
C -0.071 0.097 -0.332
```
********
Is it also an issue of indigenous knowledge systems vs the more formalised Western systems, which are now deemed to be the only viable form of knowledge?
There is enormous local experiential knowledge and skills pool which we have never carefully looked at. A part of what Bharat Beej Swaraj Manch does is to characterise traditional seed varieties to show that they actually have superior nutritional qualities and sometimes higher yield.
These seeds were not just given by nature, they have been bred by farmers so it’s about their skills and knowledge that has evolved into such wonderful material, which the mainstream has ignored continuously. Modern science analytical tools can be applied so that (indigenous) knowledge and science can be packaged in a way that (modern) science understands – to bring about hitherto unseen appreciation for indigenous knowledge.
What gives you hope to restore and regain Swaraj?
I do see a small movement beginning among youth who have been schooled in a particular manner, who are still able to de-school themselves and come back to rural India. I see that movement more strongly in Tamil Nadu and Kerela. Apparently, this is not happening as strongly in northern India yet. That is the hope – this great wish to contribute something in a sustainable way.
First published by First Post